### Job
The reader should duplicate the lines below up to the one that holds "0.102 0.006", that line included.

### Data
=====
Computed, not measured: a relaxed structure of BiAs2O7 at the GGA-PBE level of DFT.

Lattice parameters (Å, degrees): 9.916 7.598 10.187 70.57 90.00 90.00
Atoms (fractional coordinates):
O: 0.331 0.251 0.911
O: 0.924 0.627 0.228
O: 0.232 0.621 0.282
O: 0.831 0.749 0.589
O: 0.320 0.378 0.616
O: 0.268 0.621 0.782
O: 0.692 0.137 0.041
O: 0.808 0.137 0.541
O: 0.576 0.627 0.728
O: 0.876 0.980 0.909
O: 0.308 0.863 0.959
O: 0.424 0.373 0.272
O: 0.602 0.994 0.831
O: 0.669 0.749 0.089
O: 0.732 0.379 0.218
O: 0.076 0.373 0.772
O: 0.192 0.863 0.459
O: 0.768 0.379 0.718
O: 0.624 0.980 0.409
O: 0.398 0.006 0.169
O: 0.102 0.006 0.669
O: 0.680 0.622 0.384
O: 0.169 0.251 0.411
O: 0.180 0.378 0.116
O: 0.898 0.994 0.331
O: 0.820 0.622 0.884
O: 0.376 0.020 0.591
O: 0.124 0.020 0.091
As: 0.790 0.967 0.467
As: 0.751 0.590 0.245
As: 0.249 0.410 0.755
As: 0.290 0.033 0.033
As: 0.749 0.590 0.745
As: 0.210 0.033 0.533
As: 0.710 0.967 0.967
As: 0.251 0.410 0.255
Bi: 0.566 0.187 0.210
Bi: 0.066 0.813 0.290
Bi: 0.434 0.813 0.790
Bi: 0.934 0.187 0.710

For the total DFT energy (no corrections), the calculation gives -0.4235 Ry/atom. Its space-group type is P2_1/c (14).
=====

### Outcome
Computed, not measured: a relaxed structure of BiAs2O7 at the GGA-PBE level of DFT.

Lattice parameters (Å, degrees): 9.916 7.598 10.187 70.57 90.00 90.00
Atoms (fractional coordinates):
O: 0.331 0.251 0.911
O: 0.924 0.627 0.228
O: 0.232 0.621 0.282
O: 0.831 0.749 0.589
O: 0.320 0.378 0.616
O: 0.268 0.621 0.782
O: 0.692 0.137 0.041
O: 0.808 0.137 0.541
O: 0.576 0.627 0.728
O: 0.876 0.980 0.909
O: 0.308 0.863 0.959
O: 0.424 0.373 0.272
O: 0.602 0.994 0.831
O: 0.669 0.749 0.089
O: 0.732 0.379 0.218
O: 0.076 0.373 0.772
O: 0.192 0.863 0.459
O: 0.768 0.379 0.718
O: 0.624 0.980 0.409
O: 0.398 0.006 0.169
O: 0.102 0.006 0.669